**Contents**
~~~
VASP calculation (PBE) on KNaCdF6 after structural relaxation.

Results
Size of the total moment in μB/f.u.: 2.1
E_tot in eV/f.u.: -31.92

Unit cell a=5.945 b=5.945 c=5.448 alpha=90.02 beta=90.02 gamma=120.08
Sites, in units of the cell vectors:
K 0.000 0.000 0.000
Na 0.666 0.334 0.500
Cd 0.333 0.667 0.500
F 0.027 0.380 0.288
F 0.028 0.647 0.713
F 0.353 0.972 0.287
F 0.354 0.381 0.712
F 0.619 0.646 0.288
F 0.620 0.973 0.712

=====

[1]
The following is a PBE calculation of a relaxed CaAl2Cu crystal, from the Alexandria database. Values from VASP.

Properties
Its space group is No. 8. The calculation puts the magnetization at 0.000 μB per atom. Its density of states at the Fermi level is 1.04 states/eV/f.u. The value obtained for the total DFT energy (no corrections) is -3.650 eV/atom.

```
&SYSTEM
  ibrav = 0, nat = 4, ntyp = 3
/
ATOMIC_SPECIES
Ca 40.08 Ca.upf
Al 26.98 Al.upf
Cu 63.55 Cu.upf
CELL_PARAMETERS angstrom
3.6614 -2.1129 0.0000
3.6614 2.1129 0.0000
-2.4187 0.0000 5.4702
ATOMIC_POSITIONS crystal
Ca 0.0000 0.0000 0.0000
Al 0.2029 0.2029 0.6098
Al 0.4626 0.4626 0.3877
Cu 0.8124 0.8124 0.4376
```



[2]
The following is a PBE calculation of a relaxed CaErAlCu crystal, from the Alexandria database. Values from VASP.

Properties
Its space group is No. 216. The calculation puts the magnetization at 0.000 μB per atom. Its density of states at the Fermi level is 3.63 states/eV/f.u. The value obtained for the total DFT energy (no corrections) is -3.787 eV/atom.

```
&SYSTEM
  ibrav = 0, nat = 4, ntyp = 4
/
ATOMIC_SPECIES
Ca 40.08 Ca.upf
Er 167.26 Er.upf
Al 26.98 Al.upf
Cu 63.55 Cu.upf
CELL_PARAMETERS angstrom
0.0000 3.5768 3.5768
3.5768 0.0000 3.5768
3.5768 3.5768 0.0000
ATOMIC_POSITIONS crystal
Ca 0.0000 0.0000 0.0000
Er 0.5000 0.5000 0.5000
Al 0.2500 0.2500 0.2500
Cu 0.7500 0.7500 0.7500
```



no.,energy relative to the elements (eV/f.u.)
1,-1.0
2,-0.7

=====

# VCrClO2 | Alexandria via LeMat-Bulk | GGA+U | optimized geometry
data_VCrClO2
_chemical_formula_sum 'V1 Cr1 Cl1 O2'
_cell_length_a 4.438
_cell_length_b 4.438
_cell_length_c 4.308
_cell_angle_alpha 90.00
_cell_angle_beta 90.00
_cell_angle_gamma 90.00
_space_group_name_H-M_alt 'P 4/m m m'
_space_group_IT_number 123
_space_group_name_Hall '-P 4 2'
loop_
_atom_site_label
_atom_site_type_symbol
_atom_site_fract_x
_atom_site_fract_y
_atom_site_fract_z
V1 V 0.000 0.000 0.000
Cr1 Cr 0.500 0.500 0.000
Cl1 Cl 0.500 0.500 0.500
O1 O 0.000 0.500 0.500
# crystal system	tetragonal
# D(E_F)	0.454	states/eV/atom
# volume	16.97	A^3/atom
# uncorrected energy	-4.429	eV/atom

=====

Record 1
First-principles (PBE) data for a relaxed structure of La2GeP3Pt4, as listed in Alexandria via LeMat-Bulk.

Values from the calculation:
Its space group is P-4m2, No. 115.

Cell lengths 4.3350, 4.3350, 9.8780 Å; angles 90.00, 90.00, 90.00 degrees
Element x y z (fractional)
La  0.0000  0.5000  0.2484
La  0.5000  0.0000  0.7516
Ge  0.0000  0.0000  0.5000
P  0.0000  0.5000  0.8686
P  0.5000  0.0000  0.1314
P  0.5000  0.5000  0.5000
Pt  0.0000  0.0000  0.0000
Pt  0.0000  0.5000  0.6260
Pt  0.5000  0.0000  0.3740
Pt  0.5000  0.5000  0.0000


Record 2
First-principles (PBE) data for a relaxed structure of LaGeP2Pt, as listed in Alexandria via LeMat-Bulk.

Values from the calculation:
Its space group is P4/mmm, No. 123.

Cell lengths 4.8481, 4.8481, 4.6582 Å; angles 90.00, 90.00, 90.00 degrees
Element x y z (fractional)
La  0.0000  0.0000  0.0000
Ge  0.5000  0.5000  0.5000
P  0.0000  0.5000  0.5000
P  0.5000  0.0000  0.5000
Pt  0.5000  0.5000  0.0000


Record 3
First-principles (PBE) data for a relaxed structure of LaGePRh3, as listed in Alexandria via LeMat-Bulk.

Values from the calculation:
Its space group is Cmcm, No. 63.

Cell lengths 7.8181, 7.8181, 5.7004 Å; angles 90.00, 90.00, 137.07 degrees
Element x y z (fractional)
La  0.2196  0.7804  0.7500
La  0.7804  0.2196  0.2500
Ge  0.4039  0.5961  0.2500
Ge  0.5961  0.4039  0.7500
P  0.0799  0.9201  0.2500
P  0.9201  0.0799  0.7500
~~~

**What to do**
Echo all of the contents earlier on without altering anything, please.

**Response**
VASP calculation (PBE) on KNaCdF6 after structural relaxation.

Results
Size of the total moment in μB/f.u.: 2.1
E_tot in eV/f.u.: -31.92

Unit cell a=5.945 b=5.945 c=5.448 alpha=90.02 beta=90.02 gamma=120.08
Sites, in units of the cell vectors:
K 0.000 0.000 0.000
Na 0.666 0.334 0.500
Cd 0.333 0.667 0.500
F 0.027 0.380 0.288
F 0.028 0.647 0.713
F 0.353 0.972 0.287
F 0.354 0.381 0.712
F 0.619 0.646 0.288
F 0.620 0.973 0.712

=====

[1]
The following is a PBE calculation of a relaxed CaAl2Cu crystal, from the Alexandria database. Values from VASP.

Properties
Its space group is No. 8. The calculation puts the magnetization at 0.000 μB per atom. Its density of states at the Fermi level is 1.04 states/eV/f.u. The value obtained for the total DFT energy (no corrections) is -3.650 eV/atom.

```
&SYSTEM
  ibrav = 0, nat = 4, ntyp = 3
/
ATOMIC_SPECIES
Ca 40.08 Ca.upf
Al 26.98 Al.upf
Cu 63.55 Cu.upf
CELL_PARAMETERS angstrom
3.6614 -2.1129 0.0000
3.6614 2.1129 0.0000
-2.4187 0.0000 5.4702
ATOMIC_POSITIONS crystal
Ca 0.0000 0.0000 0.0000
Al 0.2029 0.2029 0.6098
Al 0.4626 0.4626 0.3877
Cu 0.8124 0.8124 0.4376
```



[2]
The following is a PBE calculation of a relaxed CaErAlCu crystal, from the Alexandria database. Values from VASP.

Properties
Its space group is No. 216. The calculation puts the magnetization at 0.000 μB per atom. Its density of states at the Fermi level is 3.63 states/eV/f.u. The value obtained for the total DFT energy (no corrections) is -3.787 eV/atom.

```
&SYSTEM
  ibrav = 0, nat = 4, ntyp = 4
/
ATOMIC_SPECIES
Ca 40.08 Ca.upf
Er 167.26 Er.upf
Al 26.98 Al.upf
Cu 63.55 Cu.upf
CELL_PARAMETERS angstrom
0.0000 3.5768 3.5768
3.5768 0.0000 3.5768
3.5768 3.5768 0.0000
ATOMIC_POSITIONS crystal
Ca 0.0000 0.0000 0.0000
Er 0.5000 0.5000 0.5000
Al 0.2500 0.2500 0.2500
Cu 0.7500 0.7500 0.7500
```



no.,energy relative to the elements (eV/f.u.)
1,-1.0
2,-0.7

=====

# VCrClO2 | Alexandria via LeMat-Bulk | GGA+U | optimized geometry
data_VCrClO2
_chemical_formula_sum 'V1 Cr1 Cl1 O2'
_cell_length_a 4.438
_cell_length_b 4.438
_cell_length_c 4.308
_cell_angle_alpha 90.00
_cell_angle_beta 90.00
_cell_angle_gamma 90.00
_space_group_name_H-M_alt 'P 4/m m m'
_space_group_IT_number 123
_space_group_name_Hall '-P 4 2'
loop_
_atom_site_label
_atom_site_type_symbol
_atom_site_fract_x
_atom_site_fract_y
_atom_site_fract_z
V1 V 0.000 0.000 0.000
Cr1 Cr 0.500 0.500 0.000
Cl1 Cl 0.500 0.500 0.500
O1 O 0.000 0.500 0.500
# crystal system	tetragonal
# D(E_F)	0.454	states/eV/atom
# volume	16.97	A^3/atom
# uncorrected energy	-4.429	eV/atom

=====

Record 1
First-principles (PBE) data for a relaxed structure of La2GeP3Pt4, as listed in Alexandria via LeMat-Bulk.

Values from the calculation:
Its space group is P-4m2, No. 115.

Cell lengths 4.3350, 4.3350, 9.8780 Å; angles 90.00, 90.00, 90.00 degrees
Element x y z (fractional)
La  0.0000  0.5000  0.2484
La  0.5000  0.0000  0.7516
Ge  0.0000  0.0000  0.5000
P  0.0000  0.5000  0.8686
P  0.5000  0.0000  0.1314
P  0.5000  0.5000  0.5000
Pt  0.0000  0.0000  0.0000
Pt  0.0000  0.5000  0.6260
Pt  0.5000  0.0000  0.3740
Pt  0.5000  0.5000  0.0000


Record 2
First-principles (PBE) data for a relaxed structure of LaGeP2Pt, as listed in Alexandria via LeMat-Bulk.

Values from the calculation:
Its space group is P4/mmm, No. 123.

Cell lengths 4.8481, 4.8481, 4.6582 Å; angles 90.00, 90.00, 90.00 degrees
Element x y z (fractional)
La  0.0000  0.0000  0.0000
Ge  0.5000  0.5000  0.5000
P  0.0000  0.5000  0.5000
P  0.5000  0.0000  0.5000
Pt  0.5000  0.5000  0.0000


Record 3
First-principles (PBE) data for a relaxed structure of LaGePRh3, as listed in Alexandria via LeMat-Bulk.

Values from the calculation:
Its space group is Cmcm, No. 63.

Cell lengths 7.8181, 7.8181, 5.7004 Å; angles 90.00, 90.00, 137.07 degrees
Element x y z (fractional)
La  0.2196  0.7804  0.7500
La  0.7804  0.2196  0.2500
Ge  0.4039  0.5961  0.2500
Ge  0.5961  0.4039  0.7500
P  0.0799  0.9201  0.2500
P  0.9201  0.0799  0.7500